Ohio Revised Code
Chapter 1531 | Division of Wildlife
Section 1531.07 | Jurisdiction.

Effective: September 30, 1963
Latest Legislation: House Bill 573 - 105th General Assembly
All lakes, reservoirs, and state lands dedicated to the use of the public for park and pleasure resort purposes shall be under the supervision and control of the chief of the division of wildlife with respect to the enforcement of all laws relating to the protection of birds, fish, and game. All laws for the protection of fish in inland rivers and streams of the state, and all laws for the protection of the birds, fish, and game and fur-bearing animals, shall apply to all such state reservoirs and lakes. No person shall disturb, injure, or destroy a tree, plant, lawn, embankment, decoration, or other property or kill, injure, or disturb a waterfowl, water animal, bird, or game or fur-bearing animal, kept as a semidomestic pet upon an island or within the boundary lines of Buckeye Lake, Indian Lake, The Portage Lakes, Lake St. Marys, Guilford Lake, and Lake Loramie, or any other territory over which the state has jurisdiction or an embankment or state land adjacent thereto. No person shall take or disturb fish in any lagoon or any other portion of any of the waters over which the state has jurisdiction and which have been set aside by the chief for the propagation of fish.

Structure Ohio Revised Code

Ohio Revised Code

Title 15 | Conservation of Natural Resources

Chapter 1531 | Division of Wildlife

Section 1531.01 | Division of Wildlife Definitions.

The entry is interrupted by materials data:
=====
[1]
Starting from a DFT-relaxed cell (GGA-PBE, Alexandria), the powder diffraction line list of Nd5YEr5 was computed for Cu Kα X-rays.
Peak positions follow from Bragg's law for the DFT cell and can differ from measured ones.

Crystal structure
abc: 6.106 6.106 11.798
angles: 90.00 90.00 120.00
Fractional positions:
Nd 0.000 0.000 0.000
Nd 0.333 0.667 0.316
Nd 0.333 0.667 0.684
Nd 0.667 0.333 0.153
Nd 0.667 0.333 0.847
Y 0.333 0.667 0.000
Er 0.000 0.000 0.266
Er 0.000 0.000 0.734
Er 0.333 0.166 0.500
Er 0.834 0.166 0.500
Er 0.834 0.667 0.500

The 10 most intense peaks (10° ≤ 2θ ≤ 90°), by intensity:
- 28.3 deg, I 100
- 34.8 deg, I 94
- 29.3 deg, I 87
- 37.3 deg, I 50
- 30.3 deg, I 46
- 33.0 deg, I 40
- 51.3 deg, I 39
- 51.9 deg, I 34
- 60.7 deg, I 31
- 46.1 deg, I 28

[2]
Starting from a DFT-relaxed cell (GGA-PBE, Alexandria), the powder diffraction line list of BaPd4Pb2 was computed for Cu Kα X-rays.
Peak positions follow from Bragg's law for the DFT cell and can differ from measured ones.

Crystal structure
abc: 7.444 7.444 7.444
angles: 109.96 109.96 108.49
Fractional positions:
Ba 0.250 0.250 0.000
Ba 0.750 0.750 0.000
Pd 0.020 0.520 0.210
Pd 0.190 0.980 0.500
Pd 0.310 0.810 0.790
Pd 0.480 0.690 0.500
Pd 0.520 0.310 0.500
Pd 0.690 0.190 0.210
Pd 0.810 0.020 0.500
Pd 0.980 0.480 0.790
Pb 0.152 0.348 0.500
Pb 0.348 0.848 0.197
Pb 0.652 0.152 0.803
Pb 0.848 0.652 0.500

The 10 most intense peaks (10° ≤ 2θ ≤ 90°), by intensity:
- 39.0 deg, I 100
- 33.2 deg, I 68
- 67.3 deg, I 31
- 14.7 deg, I 19
- 45.0 deg, I 17
- 42.3 deg, I 15
- 25.5 deg, I 15
- 25.2 deg, I 13
- 54.4 deg, I 13
- 29.3 deg, I 12

[3]
Starting from a DFT-relaxed cell (GGA-PBE, Alexandria), the powder diffraction line list of Tl5S2I was computed for Cu Kα X-rays.
Peak positions follow from Bragg's law for the DFT cell and can differ from measured ones.

Crystal structure
abc: 4.529 19.170 6.854
angles: 90.00 90.00 90.00
Fractional positions:
Tl 0.250 0.051 0.192
Tl 0.250 0.449 0.192
Tl 0.250 0.613 0.438
Tl 0.250 0.750 0.902
Tl 0.250 0.887 0.438
Tl 0.750 0.113 0.562
Tl 0.750 0.250 0.098
Tl 0.750 0.387 0.562
Tl 0.750 0.551 0.808
Tl 0.750 0.949 0.808
S 0.250 0.597 0.032
S 0.250 0.903 0.032
S 0.750 0.097 0.968
S 0.750 0.403 0.968
I 0.250 0.250 0.510
I 0.750 0.750 0.490

The 10 most intense peaks (10° ≤ 2θ ≤ 90°), by intensity:
- 27.4 deg, I 100
- 25.3 deg, I 58
- 35.7 deg, I 43
- 26.6 deg, I 37
- 38.4 deg, I 34
- 39.8 deg, I 32
- 48.5 deg, I 32
- 23.5 deg, I 29
- 50.7 deg, I 28
- 27.9 deg, I 27

[4]
Starting from a DFT-relaxed cell (GGA-PBE, Alexandria), the powder diffraction line list of OF6 was computed for Cu Kα X-rays.
Peak positions follow from Bragg's law for the DFT cell and can differ from measured ones.

Crystal structure
abc: 9.131 8.475 5.266
angles: 90.00 90.00 90.00
Fractional positions:
O 0.226 0.250 0.138
O 0.274 0.750 0.638
O 0.726 0.250 0.362
O 0.774 0.750 0.862
F 0.054 0.085 0.777
F 0.054 0.415 0.777
F 0.063 0.750 0.132
F 0.132 0.250 0.331
F 0.154 0.549 0.649
=====

Section 1531.02 | State Ownership of and Title to Wild Animals - Prohibited Activities.

Section 1531.03 | Division of Wildlife - Wildlife Council.

Section 1531.04 | Division of Wildlife - Powers and Duties.

Section 1531.05 | Compensation.

Section 1531.06 | Chief of Division - Powers and Duties.

Section 1531.07 | Jurisdiction.

Section 1531.08 | Chief of Division - Powers and Authority Regarding Wild Animals.

____________
Computed powder XRD pattern of K2SrCdCl6 for Cu Kα (λ = 1.5418 Å), from a GGA-PBE-relaxed structure.

Structural model:
a = 7.6377 Å, b = 7.6377 Å, c = 5.7780 Å
α = 90.00°, β = 90.00°, γ = 90.00°
Fractional positions:
1 K 0.0000 0.5000 0.0000
2 K 0.5000 0.0000 0.0000
3 Sr 0.0000 0.0000 0.6128
4 Cd 0.5000 0.5000 0.5875
5 Cl 0.0000 0.0000 0.1227
6 Cl 0.2617 0.2617 0.6799
7 Cl 0.2617 0.7383 0.6799
8 Cl 0.5000 0.5000 0.1524
9 Cl 0.7383 0.2617 0.6799
10 Cl 0.7383 0.7383 0.6799

Largest 10 diffraction maxima, sorted by position, 2θ from 10° to 90°:
(0 0 1), 15.34°, intensity 65
(1 1 0), 16.41°, intensity 87
(1 1 1), 22.54°, intensity 95
(2 0 0), 23.29°, intensity 45
(0 0 2), 30.95°, intensity 34
(2 2 0), 33.18°, intensity 100
(1 1 2), 35.23°, intensity 46
(2 0 2), 39.10°, intensity 37
(3 1 1), 40.48°, intensity 40
(2 2 2), 46.01°, intensity 41

----------

(1)
Computed X-ray powder pattern
Compound: Na2ZrZnP2SO12
Radiation: Cu Kα (weighted mean of Kα1 and Kα2)
Structure: the GGA-PBE geometry in the Materials Project
No peak broadening, texture or thermal motion is included.

Most intense lines, 2θ from 10° to 90°, in order of rising 2θ:
(1 1 -1), 2θ 13.82, I 41; (1 1 1), 2θ 19.24, I 48; (2 0 -2), 2θ 19.43, I 31; (0 2 0), 2θ 19.75, I 24; (3 1 -1), 2θ 19.92, I 56; (0 2 1), 2θ 23.00, I 71; (3 1 -2), 2θ 23.20, I 32; (2 2 -2), 2θ 27.84, I 48; (0 2 2), 2θ 30.76, I 100; (3 1 -3), 2θ 31.00, I 50; (3 3 -1), 2θ 34.67, I 48; (1 3 3), 2θ 50.51, I 21

Structural model:
```
data_Na2ZrZnP2SO12
_chemical_formula_sum 'Na8 Zr4 Zn4 P8 S4 O48'
_symmetry_space_group_name_H-M 'C 1 c 1'
_symmetry_Int_Tables_number 9
_symmetry_space_group_name_Hall 'C -2yc'
_cell_length_a 15.4005
_cell_length_b 8.9894
_cell_length_c 9.1478
_cell_angle_alpha 90.00
_cell_angle_beta 123.59
_cell_angle_gamma 90.00
loop_
_atom_site_label
_atom_site_fract_x
_atom_site_fract_y
_atom_site_fract_z
Na1 0.0000 0.0730 0.0000
Na2 0.4215 0.2391 0.7431
Zr1 0.0970 0.2480 0.7142
Zn1 0.2888 0.2473 0.3142
P1 0.1991 0.0430 0.5229
P2 0.3452 0.4022 0.0340
S1 0.0467 0.3967 0.0228
O1 0.0422 0.4380 0.5348
O2 0.0476 0.3675 0.8624
O3 0.1155 0.1372 0.5353
O4 0.1247 0.0548 0.8535
O5 0.1395 0.3340 0.1793
O6 0.2427 0.3342 0.8715
O7 0.2591 0.0551 0.1828
O8 0.2681 0.1473 0.5000
O9 0.3507 0.3711 0.2030
O10 0.3542 0.4307 0.5113
O11 0.4386 0.3237 0.0382
O12 0.4546 0.1726 0.5055
```


(2)
Computed X-ray powder pattern
Compound: Na3Sb3P2O14
Radiation: Cu Kα (weighted mean of Kα1 and Kα2)
Structure: the GGA-PBE geometry in the Materials Project
No peak broadening, texture or thermal motion is included.

Most intense lines, 2θ from 10° to 90°, in order of rising 2θ:
(0 1 1), 2θ 14.17, I 25; (1 0 0), 2θ 14.57, I 100; (1 1 -1), 2θ 18.65, I 19; (0 2 0), 2θ 24.30, I 21; (0 2 2), 2θ 28.57, I 75; (1 0 -4), 2θ 28.91, I 38; (2 0 0), 2θ 29.38, I 43; (0 0 4), 2θ 29.86, I 22; (1 2 -2), 2θ 29.98, I 42; (1 2 2), 2θ 34.32, I 25; (2 2 -2), 2θ 37.82, I 25; (0 2 6), 2θ 52.19, I 28

Structural model:
```
data_Na3Sb3P2O14
____________

Section 1531.081 | Regulation of Domestic Deer.

Section 1531.09 | Chief of Division May Amend or Rescind Rules After Investigation.

Section 1531.10 | Publication of Rules.

Section 1531.101 | Rules for Taking of Migratory Game Birds.

Section 1531.11 | Violation of Rules Prohibited.

Section 1531.12 | Limitations on Authority of Chief.

Section 1531.13 | Wildlife Officers.

Section 1531.131 | Enforcing Dumping Prohibitions and Nature Preserve and Trail Rules.

Section 1531.132 | Felony Conviction Precludes or Terminates Employment.

Section 1531.133 | Wildlife Violators Compact for Joint Enforcement Operations.

Section 1531.14 | Right of Entry on Land for Research or Investigation.

Section 1531.15 | Division of Wildlife May Take Fish.

Unrelated to this text: materials data =
# CaZnO3
Simulated X-ray powder pattern, Cu Kα (λ = 1.5418 Å). Input: the PBE geometry in the Materials Project.
Kinematic intensities with the Lorentz-polarization factor, no thermal factor.

Structural model:
a b c (Å): 3.8766 3.8766 3.8766
angles (deg): 90.00 90.00 90.00
Fractional coordinates of all 5 atoms:
1 Ca 0.0000 0.0000 0.0000
2 Zn 0.5000 0.5000 0.5000
3 O 0.0000 0.5000 0.5000
4 O 0.5000 0.0000 0.5000
5 O 0.5000 0.5000 0.0000

Main lines, sorted by position (10° ≤ 2θ ≤ 80°):
2θ 22.94, d = 3.877 Å, intensity 28, (1 0 0)
2θ 32.67, d = 2.741 Å, intensity 100, (1 1 0)
2θ 40.30, d = 2.238 Å, intensity 1, (1 1 1)
2θ 46.87, d = 1.938 Å, intensity 47, (2 0 0)
2θ 52.80, d = 1.734 Å, intensity 11, (2 1 0)
2θ 58.30, d = 1.583 Å, intensity 37, (2 1 1)
2θ 68.45, d = 1.371 Å, intensity 26, (2 2 0)
2θ 73.25, d = 1.292 Å, intensity 4, (3 0 0)
2θ 77.93, d = 1.226 Å, intensity 15, (3 1 0)

----------

[1]
Starting from DFT lattice parameters and positions (GGA-PBE), the XRD peak list of Li6La2Au3 was computed for Cu Ka.
Peak positions follow from Bragg's law for the DFT cell and can differ from measured ones.

Cell: 8.1620 8.1620 4.1028 Å, 90.00 90.00 120.00°
Space group P-62m (No. 189)
Symmetry-distinct sites (fractional):
1 Li 0.0000 0.2636 0.0000
2 Li 0.0000 0.7972 0.5000
3 La 0.3333 0.6667 0.5000
4 Au 0.0000 0.5970 0.0000

Largest 10 diffraction maxima, sorted by position, 10° ≤ 2θ ≤ 80°:
2theta, d/Å, I_rel, (hkl)
12.52, 7.068, 58, 1 0 0
21.78, 4.081, 44, 1 1 0
30.91, 2.893, 100, 1 1 1
33.49, 2.676, 60, 2 0 1
38.20, 2.356, 21, 3 0 0
40.28, 2.239, 20, 2 1 1
46.31, 1.960, 26, 3 1 0
51.68, 1.769, 23, 3 1 1
65.90, 1.417, 19, 3 1 2
70.47, 1.336, 19, 5 0 1



[2]
Starting from DFT lattice parameters and positions (GGA-PBE), the XRD peak list of Sr5Mo2P7 was computed for Cu Ka.
Peak positions follow from Bragg's law for the DFT cell and can differ from measured ones.

Cell: 7.509 10.576 10.688 Å, 114.57 99.07 91.08°
Space group P-1 (No. 2)
Symmetry-distinct sites (fractional):
1 Sr 0.090 0.227 0.090
2 Sr 0.221 0.006 0.388
3 Sr 0.228 0.407 0.845
4 Sr 0.350 0.592 0.346
5 Sr 0.375 0.849 0.771
6 Mo 0.075 0.365 0.477
7 Mo 0.385 0.783 0.094
8 P 0.079 0.807 0.498
9 P 0.103 0.573 0.685
10 P 0.140 0.661 0.109
11 P 0.264 0.965 0.057
12 P 0.340 0.301 0.399
13 P 0.422 0.134 0.696
14 P 0.467 0.353 0.085

Largest 10 diffraction maxima, sorted by position, 10° ≤ 2θ ≤ 80°:
2theta, d/Å, I_rel, (hkl)
23.95, 3.715, 55, 1 0 2
24.10, 3.692, 100, 0 2 1
25.37, 3.510, 61, 0 3 -1
26.31, 3.387, 90, 1 1 -3
28.55, 3.126, 89, 1 3 -2
29.59, 3.019, 59, 2 2 -1
30.31, 2.948, 62, 1 -2 3
31.04, 2.882, 51, -2 1 2
31.93, 2.803, 72, -1 2 2
32.57, 2.749, 74, 1 0 3



[3]
Starting from DFT lattice parameters and positions (GGA-PBE), the XRD peak list of B5C3 was computed for Cu Ka.
Peak positions follow from Bragg's law for the DFT cell and can differ from measured ones.

Cell: 5.187 5.395 4.113 Å, 90.00 90.00 90.00°
Space group Cmm2 (No. 35)
Symmetry-distinct sites (fractional):
End of the materials data =

Section 1531.16 | Enforcement and Prosecution of Wildlife Laws and Rules.

Section 1531.17 | Wildlife Fund.

Section 1531.18 | Jurisdiction.

Section 1531.19 | Service of Summons on Corporations.

Section 1531.20 | Seizure of Property or Device Used in Unlawful Taking or Transporting of Wild Animals.

Section 1531.201 | Civil Action to Recover Possession or Value of Wild Animal.

Section 1531.202 | Liability for Costs Incurred in Investigation of Death of Wild Animal.

Section 1531.21 | Trial Procedure for Forfeiture or Condemnation.

Section 1531.22 | Payment of Costs.

Section 1531.23 | Judgment for Costs and Fine or Forfeiture - Lien - Failure to Pay.

Section 1531.24 | United States Commissioner of Fisheries Authorized to Establish, Operate, and Maintain Fish Hatcheries in Ohio.

Section 1531.25 | Protection of Species Threatened With Statewide Extinction.

Section 1531.26 | Nongame and Endangered Wildlife Fund.

Section 1531.27 | Payments to Counties for Land Use by State.

Section 1531.28 | Contract With Private Persons for Creation or Improvement of Wildlife Habitat.

Section 1531.29 | Prohibiting Polluting State Land or Water.

Section 1531.30 | Cooperative Management Fund.

Section 1531.31 | Ohio River Management Fund.

Section 1531.32 | Wildlife Habitat Trust Fund.

Section 1531.33 | Wildlife Habitat Fund.

Section 1531.35 | Wildlife Boater Angler Fund.

Section 1531.40 | Nuisance Wild Animal Removal or Control Services; License.

Section 1531.99 | Penalty.